Elon Musk hosted an event this evening opening up a new SpaceX office in Seattle - the future home for his as-yet-unnamed hugely ambitious Space Internet venture.
The SpaceX communication network will involve hundreds of satellites working together, swarming in low earth orbit 750 miles up. At this altitude, satellite data will have the potential to rival fiber optic networks, avoiding the tremendous latency inherent in geosynchronous satellites 22,000 miles away.
“Our focus is on creating a global communications system that would be larger than anything that has been talked about to date."
And of course, this being Elon Musk, he doesn't plan to stop at Earth. He actually plans for the SpaceX internet service to be an important revenue source to fund his plans to build a city on Mars. Which will of course need internet too:
"It will be important for Mars to have a global communications network as well, I think this needs to be done, and I don’t see anyone else doing it.”
SpaceX is just now ramping up hiring to staff the project, and expects it will take around $10 billion dollars and at least five years to get this service off the ground.
If it was anyone other than Elon Musk this would sound like yet more pie-in-the-sky science fiction, but, well... Elon has a proven track record of making science fiction into science fact.
Elon Musk isn't the only billionaire announcing plans to blanket the globe in internet either.
Virgin Galatic's Richard Branson yesterday announced that he was "creating the world's largest ever satellite constellation" by backing a startup called OneWeb that aims to build a similar, but slightly less technically advanced, network focused on delivering internet service to the billions of people who currently have no online access.
OneWeb has a head start over SpaceX - having already secured legal rights to the broadcast spectrum necessary for their plans, and is aiming to go live as early as 2018.
Richard Branson expects OneWeb's jump on securing spectrum will eventually force a cooperative effort:
“I don’t think Elon can do a competing thing ... If Elon wants to get into this area, the logical thing for him would be to tie up with us, and if I were a betting man, I would say the chances of us working together rather than separately would be much higher.”
(Crystal structures, kept here for reference)
~~~
An optimized crystal structure of Ca2VO4, computed with GGA+U.

abc: 5.750 5.897 6.441
angles: 90.00 107.81 90.00
Atoms (fractional coordinates):
Ca 0.654 0.750 0.028
Ca 0.346 0.250 0.972
Ca 0.265 0.250 0.448
Ca 0.735 0.750 0.552
V 0.198 0.750 0.181
V 0.802 0.250 0.819
O 0.444 0.524 0.244
O 0.031 0.750 0.903
O 0.969 0.250 0.097
O 0.444 0.976 0.244
O 0.994 0.250 0.650
O 0.556 0.024 0.756
O 0.556 0.476 0.756
O 0.006 0.750 0.350

Output
Total DFT energy (no corrections) in eV for the cell shown: -98.0
Energy above the lowest structure with this stoichiometry in meV/atom: 74


{"formula": "PtC2", "functional": "GGA-PBE", "state": "relaxed", "spacegroup": "Fd-3m", "final_energy_ev_per_cell": -30.54, "lattice_angstrom": [[-3.195, -2.680, 1.508], [-4.169, 0.500, -1.425], [-1.803, -3.031, -2.688]], "species": ["C", "C", "C", "C", "Pt", "Pt"], "fractional_positions": [[0.125, 0.625, 0.625], [0.625, 0.625, 0.125], [0.625, 0.625, 0.625], [0.625, 0.125, 0.625], [0.250, 0.250, 0.250], [0.000, 0.000, 0.000]]}


i) KScTl2: optimized geometry, GGA-PBEsol.

It has space group Imm2 (No. 44), with a = 3.4291 Å, b = 5.5417 Å, c = 11.6130 Å, α = 90.00°, β = 90.00° and γ = 90.00°. The asymmetric unit holds K at (0.0000, 0.0000, 0.0000), Sc at (0.0000, 0.5000, 0.7864), Tl at (0.0000, 0.0000, 0.5028) and Tl at (0.0000, 0.5000, 0.2329).

ii) KScTl2: optimized geometry, GGA-PBEsol.

It has space group P4/mmm (No. 123), with a = 3.6265 Å, b = 3.6265 Å, c = 8.3891 Å, α = 90.00°, β = 90.00° and γ = 90.00°. The asymmetric unit holds K at (0.0000, 0.0000, 0.0000), Sc at (0.0000, 0.0000, 0.5000) and Tl at (0.5000, 0.5000, 0.2999).

ii) takes first place; second place is 239 meV per atom up.

i) KYSc2: optimized geometry, GGA-PBEsol.

It has space group Fm-3m (No. 225), with a = 7.8271 Å, b = 7.8271 Å, c = 7.8271 Å, α = 90.00°, β = 90.00° and γ = 90.00°. The asymmetric unit holds K at (0.0000, 0.0000, 0.0000), Y at (0.0000, 0.0000, 0.5000) and Sc at (0.2500, 0.2500, 0.2500).

ii) KYSc2: optimized geometry, GGA-PBEsol.

It has space group Cmmm (No. 65), with a = 7.0465 Å, b = 10.3266 Å, c = 3.3254 Å, α = 90.00°, β = 90.00° and γ = 90.00°. The asymmetric unit holds K at (0.0000, 0.0000, 0.0000), Y at (0.0000, 0.5000, 0.0000) and Sc at (0.2500, 0.2500, 0.5000).

iii) KYSc2: optimized geometry, GGA-PBEsol.

It has space group P4/mmm (No. 123), with a = 4.9418 Å, b = 4.9418 Å, c = 4.9852 Å, α = 90.00°, β = 90.00° and γ = 90.00°. The asymmetric unit holds K at (0.0000, 0.0000, 0.0000), Y at (0.5000, 0.5000, 0.0000) and Sc at (0.0000, 0.5000, 0.5000).

ii) takes first place; second place is 88 meV per atom up.

i) K2ZrSc: optimized geometry, GGA-PBEsol.

It has space group R-3m (No. 166, hexagonal axes), with a = 3.2555 Å, b = 3.2555 Å, c = 40.8330 Å, α = 90.00°, β = 90.00° and γ = 120.00°. The asymmetric unit holds K at (0.0000, 0.0000, 0.2494), Zr at (0.0000, 0.0000, 0.5000) and Sc at (0.0000, 0.0000, 0.0000).

ii) K2ZrSc: optimized geometry, GGA-PBEsol.
~~~
(So much for the crystal structures)
Read more about the two competing systems over at Businessweek, which broke the story.
What does this mean for the future of RV mobile internet?
• Between two parts of the piece: materials data:
********
[1]
Entry from Alexandria: an optimized crystal structure of CdFeSb2 (GGA-PBEsol).

Lattice parameters (Å, degrees): 3.759 4.693 4.693 90.00 90.00 90.00
Fractional coordinates of all 4 atoms:
Cd: 0.500 0.500 0.500
Fe: 0.500 0.000 0.000
Sb: 0.000 0.000 0.500
Sb: 0.000 0.500 0.000

Results
- SG: P4/mmm
- Final energy: -4.349 eV/atom
- Spin magnetization: 2.6 μB/cell
- V: 83 Å³ per cell
- Energy relative to the elements, uncorrected: 45.4 kJ/mol of atoms

=====

[2]
Entry from Alexandria: an optimized crystal structure of Cd3FeSb (GGA-PBEsol).

Lattice parameters (Å, degrees): 5.459 5.459 5.459 90.00 90.00 90.00
Fractional coordinates of all 5 atoms:
Sb: 0.000 0.000 0.000
Fe: 0.500 0.500 0.500
Cd: 0.000 0.500 0.000
Cd: 0.000 0.000 0.500
Cd: 0.500 0.000 0.000

Results
- SG: Pm-3m
- Final energy: -2.196 eV/atom
- Spin magnetization: 3.4 μB/cell
- V: 163 Å³ per cell
- Energy relative to the elements, uncorrected: 118.4 kJ/mol of atoms

=====

[3]
Entry from Alexandria: an optimized crystal structure of Sc2CdFe (GGA-PBEsol).

Lattice parameters (Å, degrees): 3.126 3.126 7.267 90.00 90.00 90.00
Fractional coordinates of all 4 atoms:
Sc: 0.000 0.000 0.702
Sc: 0.000 0.000 0.298
Fe: 0.500 0.500 0.500
Cd: 0.500 0.500 0.000

Results
- SG: P4/mmm
- Final energy: -6.107 eV/atom
- Spin magnetization: 0.0 μB/cell
- Energy relative to the elements: -0.264 eV per atom
- V: 71 Å³ per cell

=====

[4]
Entry from Alexandria: an optimized crystal structure of ScCdFe (GGA-PBEsol).

Lattice parameters (Å, degrees): 4.469 4.469 4.469 60.00 60.00 60.00
Fractional coordinates of all 3 atoms:
Cd: 0.000 0.000 0.000
Fe: 0.500 0.500 0.500
Sc: 0.250 0.250 0.250

Results
- SG: F-43m
- Final energy: -4.766 eV/atom
- Spin magnetization: 1.7 μB/cell
- Energy relative to the elements: 0.822 eV per atom
- V: 63 Å³ per cell

=====

[5]
Entry from Alexandria: an optimized crystal structure of CdFeSe2 (GGA-PBEsol).

Lattice parameters (Å, degrees): 3.035 3.035 9.408 80.72 80.72 60.00
Fractional coordinates of all 4 atoms:
Cd: 0.513 0.513 0.462
Fe: 0.256 0.256 0.233
Se: 0.974 0.974 0.078
Se: 0.757 0.757 0.728

Results
- SG: R3m
- Final energy: -4.448 eV/atom
- Spin magnetization: 0.7 μB/cell
- V: 74 Å³ per cell
- Energy relative to the elements, uncorrected: 1.7 kJ/mol of atoms

=====

[6]
Entry from Alexandria: an optimized crystal structure of CdFeSe2 (GGA-PBEsol).

Lattice parameters (Å, degrees): 3.657 3.657 6.949 105.26 105.26 90.00
Fractional coordinates of all 4 atoms:
Cd: 0.500 0.500 0.000
Fe: 0.250 0.750 0.500
Se: 0.000 0.000 0.000
Se: 0.750 0.250 0.500

Results
- SG: I-4m2
- Final energy: -4.211 eV/atom
- Spin magnetization: 3.7 μB/cell
- V: 86 Å³ per cell
- Energy relative to the elements, uncorrected: 24.5 kJ/mol of atoms

=====

[7]
Entry from Alexandria: an optimized crystal structure of Cd2FeSe (GGA-PBEsol).

Lattice parameters (Å, degrees): 3.033 4.550 5.373 90.00 90.00 91.39
Fractional coordinates of all 4 atoms:
Cd: 0.251 0.246 0.000
Cd: 0.749 0.754 0.000
********
Not much, for a few years at the very least. It will be years before more technical details and especially pricing even begins to get hinted at.
But it is thrilling to imagine that soon there may be global broadband that can follow you wherever you roam on this planet, and perhaps even beyond!
UPDATE: SpaceX has confirmed that Google and Fidelity Investments have just invested a billion dollars into the company, which should go a long way towards getting this project (literally) off the ground.